Being an Office Cat is regarded as a special task. You are to be sedentary and well behaved. Never to touch the key pad on the laptop like Robyn, who was also not asked back after her work experience. Like her half sister, she was all legs and feet and pressing this and that with her busy paws. A quick purr as an apology to Momma for calculating things all incorrectly and all was forgiven until next time. I think these three will be on beverages only with occasional light filing duties in the future. They don't know their A's from their Z's so that will be interesting! Now, I am very good at filing especially the zeds, I can fit many of those in on my filing mat. Zzzz..... Sorry, I dropped off there for a second! Many years ago, King Slinky wrote a Blog about Faith and the printer, now she could care less if it prints all day and night. It's not as exciting as the first time she heard it. She leaves that to the under two year old kitties who are still fascinated with the hum and trundle of the paper flow. Tyga and Ikon still get a kick out of it!
Momma has a new office machine arriving on Wednesday. It cuts all sorts of things and crimps, slices, trims and creases. It will be a great addition to our enjoyment of office life and give something else for Momma to tell us to keep our paws out of! Included in this grand purchase is a new filing cabinet which will free up desk space for, yep you guessed it, a cat bed! The desk is currently covered in archive boxes which we love to sleep in the tops of and this makes and endless daily struggle gaining access to the files. The days of ease of access are gone and a new streamlined office must happen and that means ManSlave has to learn where to look for stuff and even put it away?! I shall take charge and show him around especially as the new filing cabinet will be very tall and I will need a ladder to gain access to the top. Where there is a will, there is a way!
To make room for the new contraption and cabinet there has been much reshuffling in the bright neat bijou room. It has to double up as a craft come space with sewing area and card making section as well as an office that run no less than 5 businesses that Momma looks after so the archiving and filing is very strict and purging of nonsensical items is required. Anyone looking at this tiny 8ft x 9ft space would be baffled at it's walls which are full of paintings and collected bits and pieces of important meanings with boxes filled to the brim of useful and needed things and cupboards full of important documents which has to be in cupboards as we love to tip things up and stand on papers and chew the corners and holepunch where they shouldn't be. It is quintessentially unique and bespoke and tailored for a crazy cat house full of busy felines.
The working week is now over and our day of rest starts, except, we are going to be busy cats today. We have Mishka's family popping up to meet us all. It will be a lovely day and yesterday ManSlave trimmed up a bit of Welsh lamb in preparation for their visit. We were hoping for warmer weather so we could show off in the garden and play about and show off our tribe of Horrible Horraces. We are trying to find good homes for them as we have 17 of the furry grey jobs and I see from the lady ones, there is another batch on the way! I wonder if Mishka's folks might want to take some home later today? We have lost nearly all the slate that was laid last summer, that's two tons vanished into the wilderness and all I can see is squirrels racing too and fro with mini wheelbarrows piled high with OUR SLATE! They must have a complete Horrible Mansopn out there. I hear real estate is going up in this area. No wonder if they are hiking up the prices and making a mint selling slate dwellings to hedgehogs, badgers and birds. They will need retrospective planning soon and who will pay for that? Us, out of our cat food fund probably!
These crystal structures were left in the article by mistake >
-- begin --
PBE Na2In3Ga, relaxed; electronic total energy = -2.2815 eV/atom; total moment = 0.00 μB per cell; density of states at the Fermi level = 6.19 states/eV per cell; symmetry = P-3m1, No. 164; calculated formation energy = 0.032 eV/atom; excess energy over the best structure of this formula in the dataset = 0.94 eV per formula unit
1.0
6.226 0.000 0.000
-3.113 5.391 0.000
0.000 0.000 9.968
Na In Ga
4 6 2
Direct
0.000 0.000 0.000
0.000 0.000 0.500
0.333 0.667 0.084
0.667 0.333 0.916
0.171 0.343 0.742
0.171 0.829 0.742
0.343 0.171 0.258
0.657 0.829 0.742
0.829 0.171 0.258
0.829 0.657 0.258
0.333 0.667 0.439
0.667 0.333 0.561


PBE VTcBr3, relaxed; electronic total energy = -4.4230 eV/atom; total moment = 7.83 μB per cell; density of states at the Fermi level = 5.62 states/eV per cell; E_form (uncorrected) = 0.478 eV per atom; symmetry = Pm-3m, No. 221; excess energy over the best structure of this formula in the dataset = 0.00 eV per formula unit
1.0
5.166 0.000 0.000
0.000 5.166 0.000
0.000 0.000 5.166
V Tc Br
1 1 3
Direct
0.000 0.000 0.000
0.500 0.500 0.500
0.000 0.000 0.500
0.000 0.500 0.000
0.500 0.000 0.000


PBE HoB2Rh6, relaxed; electronic total energy = -6.9712 eV/atom; total moment = 2.51 μB per cell; density of states at the Fermi level = 28.47 states/eV per cell; symmetry = Fd-3m, No. 227; calculated formation energy = -0.078 eV/atom
1.0
0.000 5.252 5.252
5.252 0.000 5.252
5.252 5.252 0.000
Ho B Rh
2 4 12
Direct
0.125 0.125 0.125
0.875 0.875 0.875
0.000 0.500 0.500
0.500 0.000 0.500
0.500 0.500 0.000
0.500 0.500 0.500
0.164 0.164 0.586
0.164 0.586 0.164
0.164 0.586 0.586
0.414 0.414 0.836
0.414 0.836 0.414
0.414 0.836 0.836
0.586 0.164 0.164
0.586 0.164 0.586
0.586 0.586 0.164
0.836 0.414 0.414
0.836 0.414 0.836
0.836 0.836 0.414


PBE TaFeAs, relaxed; electronic total energy = -8.5598 eV/atom; total moment = 0.00 μB per cell; density of states at the Fermi level = 0.64 states/eV per cell; symmetry = P-6m2, No. 187; calculated formation energy = -0.238 eV/atom
1.0
4.093 0.000 0.000
-2.047 3.545 0.000
0.000 0.000 2.928
Ta Fe As
1 1 1
Direct
0.000 0.000 0.000
0.333 0.667 0.500
0.667 0.333 0.500


Q: Among the records above, which one has the lowest electronic total energy?
A: TaFeAs


Q: Among the records above, which one has the highest density of states at the Fermi level?
A: HoB2Rh6


Q: Among the records above, which one has the lowest density of states at the Fermi level?
A: TaFeAs

* * * * *

Entry 1:
VASP calculation (PBE) on crystalline Cu3Se4 at its relaxed geometry.

```
Cu3Se4
1.0
5.233 0.000 0.000
0.000 5.233 0.000
0.000 0.000 5.233
Cu Se
3 4
Direct
0.000 0.000 0.500
0.000 0.500 0.000
0.500 0.000 0.000
0.283 0.283 0.283
0.283 0.717 0.717
0.717 0.283 0.717
0.717 0.717 0.283
```

Calculated values
ΔE_f (raw): 0.027 eV per atom
V: 20.47 Å³/atom

***

Entry 2:
VASP calculation (PBE) on crystalline CuSe2 at its relaxed geometry.

```
CuSe2
1.0
2.684 0.000 0.000
0.000 3.623 0.000
0.000 0.000 25.856
Cu Se
4 8
Direct
0.000 0.250 0.121
-- stop --
I must dash, I have to get ready for visitors and we have to be brushed and ears cleaned as well as a quick Mani-Pedi to complete the look. I am sure we will all have to wear our Sunday best collars and look the part and get ready for cuddles and kisses, especially Tyga, who is feeling very bright and happy.
Until later folks, your eternal Queen Vee =^..^=